Sunday, September 24, 2023

Other exchanges under same video

Archibald Sayce was no Church Father, Reverend Bandas was not Pope · Kevin Responded - On Something Else ... · Debate with Skabedab · Other exchanges under same video · Other on Kevin Davis's First Video with Rev. Rudolph Bandas


Young earth creationist here with out apologies. I wouldn't go so far as to say anybody that doesn't believe it is on their way to hell. But it does make sense to me that sin came and then death, not millions of years of death and then life. And all the dead things buried in the ground is explained perfectly by a world wide flood.

That's just the beginning of it ....


“The Church and her Pastors are not opposed to true and solid science, whether human or divine, but that they embrace it, encourage it, and promote it with the fullest possible dedication.” - Pope Leo XIII

If there was death of humanoids before the fall, God lied when He said Adam was made from the dust of the earth and was the first man and also designed the world to be full of disease and decay. Natural selection or survival of the fittest means the weakest links die out and it's a brutal process. God would have designed such weaknesses and disease from day one if this were the case. Thus God would have designed riverblindness from the beginning, designed animals doing horrible things to each other and no, not just for food, and other things going wrong.

The question is whether evolution or the notion the age of the earth is billions of years, or the rejection of a world wide flood is solid science

@StAnthonyPaduaTradApologetics and there is actual evidence for the global flood. We have marine fossils at the top of Mount Everest.

@nomorelies7755 I agree, but you will not find one scientist who believes or supports it, at least not mainstream. They would cite the same solid science for their view of evolution, age of the earth etc. none of it is solid science.

There is solid science to reject evolution and the false ages they propose

@StAnthonyPaduaTradApologetics Another reason is because there are no transitional fossils between us and the other species or transitional species around. The idea we descended from ape like beings is made up.

@StAnthonyPaduaTradApologetics I think another thing is that people who haven't been in the Novus ordo really don't don't understand how much putting science before faith shakes the faith up and makes them leave.

@StAnthonyPaduaTradApologetics Steadfast faith in evolution is not science. Nor is steadfast faith in young earth. Science is the study of what is in the material world. Using arguments to justify pre-determined ideals is not science.

@elladan426 I agree

@elladan426 There is also question about God's original design and original sin. If God designed humanoids to die, get disease, and have the least fit keep dying over and over for a long time, then original sin can't be what causes death. In addition, it would show that death, disease, and decay were God's original design. Animals do many horrible things in nature (not speaking about eating). If they were originally designed to do such things, it calls into question how there was a fall if God had already made the world fallen.

@nomorelies7755 I am not too familiar with the question you raise, but I do not think that your reasoning is compelling. I might be wrong here, because I do not know by heart if Holy Scripture explicitly states that all death only came from original sin, or only the death of humans. If it explicitly says that all death comes from original sin, then what I'm about to lay out is of course void and I take it back. If not, I have a speculative explanation.

It could be, that all natural life dies, even in Gods original design. This is not in conflict with Gods goodness, as St. Thomas pointed out (Summa, First Part, Q19 A9). Man as a creation endowed with sanctifying grace and thus with not only natural but supernatural life, would not have to suffer death, if Adam and Eve remained in sanctifying grace.But through their sin they lost the gift of God and thus, reduced to only their natural life, had to die like the animals around them.

Again, I could be wrong here. If I am, I renounce. Would be nice if someone who is more learned in that matter could clarify.

@elladan426 "Nor is steadfast faith in young earth."

It's not science. But it is history.

It is also at the very least by now fidei proxima.

@hglundahl Not true. The church has never taught Genesis as literal history. Days do not equate to 24 hours. Etc.

'''
# 1
2 unconnected molecules or ions with the total composition C19H21FN2O5, computed with ωB97M-V/def2-TZVPD.

```
48
Properties=species:S:1:pos:R:3:forces:R:3:nbo_charge:R:1
F -1.119 -0.415 2.181 -0.31 0.16 -0.70 -0.326
O -2.585 -2.599 0.798 0.27 0.41 -0.32 -0.511
O 5.679 -4.297 1.116 -1.34 1.85 -1.63 -0.380
O 0.398 -1.629 4.343 -0.07 -0.68 -1.06 -0.490
O 5.262 -3.244 -0.781 -0.61 -0.25 2.39 -0.369
O -0.537 -3.567 0.973 -0.68 0.98 0.07 -0.564
N 5.017 -3.477 0.424 2.51 -1.70 -1.46 0.496
N -0.887 2.798 -0.535 0.74 -2.41 1.79 -0.475
C -1.335 -2.709 1.294 0.12 -1.04 -0.14 0.761
C -0.314 4.733 -2.359 -0.35 -1.26 1.17 0.037
C 3.914 -2.819 1.059 -1.75 0.11 0.62 0.033
C -2.895 -3.146 -0.546 0.14 -0.06 0.20 -0.071
C 0.558 4.481 -1.268 -0.61 -1.10 0.17 -0.276
C 1.591 -1.939 2.297 0.96 -0.10 0.37 -0.096
C 3.692 -3.165 2.401 0.54 0.76 -0.77 -0.175
C -1.586 2.787 -1.621 -0.66 0.53 -0.73 0.237
C -4.332 -2.862 -0.935 -0.76 0.40 -0.14 -0.635
C 1.115 2.857 0.722 0.29 0.43 0.26 -0.639
C -2.506 1.573 -1.664 -0.48 0.11 -0.38 -0.636
C 3.013 -1.986 0.330 1.17 -0.41 0.81 -0.169
C -1.052 -1.758 2.489 -0.62 -0.53 0.64 0.035
C 0.251 3.421 -0.388 0.03 0.98 -0.32 0.242
C 0.336 -1.845 3.147 0.17 1.37 0.11 0.551
C 2.605 -2.594 3.016 -0.68 -0.35 -0.01 -0.164
C -0.122 5.938 -3.203 -0.10 0.50 -0.56 -0.639
C 1.866 -1.517 0.969 -0.34 -0.61 0.50 -0.189
C -1.383 3.811 -2.563 0.33 -0.12 0.11 -0.276
H 3.286 -1.731 -0.695 -0.28 -0.02 0.36 0.254
H -2.733 -4.235 -0.594 0.35 0.51 0.35 0.201
H -4.585 -3.449 -1.832 0.28 0.04 0.29 0.224
H 0.536 2.530 1.609 0.07 0.47 -0.62 0.240
H 1.192 -0.843 0.443 -0.02 -0.33 0.04 0.235
H 4.366 -3.828 2.948 -0.15 0.40 -0.35 0.262
H -3.031 1.415 -0.701 0.24 0.48 -0.48 0.237
H -2.244 -2.613 -1.250 0.09 -0.42 0.19 0.192
H 2.474 -2.741 4.078 -0.26 -0.19 -0.04 0.239
H 0.852 5.974 -3.695 0.03 -0.15 0.07 0.226
H -0.195 6.846 -2.601 -0.01 -0.04 0.07 0.227
H 1.633 1.937 0.386 -0.14 0.57 -0.11 0.220
H -3.232 1.647 -2.482 0.05 -0.19 0.14 0.204
H -1.808 -1.940 3.290 0.49 -0.05 -0.60 0.215
H 1.452 5.028 -1.032 0.22 0.52 -0.43 0.213
H 1.857 3.609 1.014 0.07 -0.34 0.13 0.209
H -1.912 0.641 -1.780 -0.11 0.67 -0.21 0.220
H -5.097 -3.122 -0.182 0.60 0.06 -0.11 0.225
H -4.495 -1.815 -1.237 0.16 -0.25 0.36 0.216
H -0.884 6.012 -3.980 0.02 -0.06 0.01 0.218
H -2.075 3.848 -3.403 0.38 0.35 -0.07 0.213
```
Positions in Å, forces in eV/Å.

Results
E_HOMO = -9.03 eV
DFT total energy = -1322.04453 hartree
Frontier orbital gap = 7.772 eV
SMILES = CCOC(=O)[C@H](F)C(=O)c1ccc([N+](=O)[O-])cc1.Cc1cc(C)nc(C)c1

---

# 2
A molecular structure, C19H21GdN6O8P2S3, computed with ωB97M-V/def2-TZVPD.

```
60
Properties=species:S:1:pos:R:3:forces:R:3:mulliken_spin:R:1
Gd 0.529 0.164 -0.285 0.29 -0.13 0.80 5.620
S -1.793 0.917 1.403 -0.34 -0.43 1.30 0.066
S 3.765 3.402 -0.777 0.00 0.10 -0.23 0.014
S 2.597 1.458 1.241 0.54 0.41 0.47 0.298
P 2.441 -1.018 -2.146 0.96 -0.08 -1.05 -0.016
P -0.258 -2.187 -1.853 0.13 -1.03 -0.19 -0.005
O 2.456 -0.943 -0.645 0.99 -0.75 -0.55 -0.037
'''

What, @elladan426 ?

"The church has never taught Genesis as literal history."

You are LYING, or LIED TO. The Church has never NOT done it.

Here is proof, @elladan426 .

This is from a Bible commentary by Father George Leo Haydock, the last words for Genesis 3:

Concerning the transactions of these early times, parents would no doubt be careful to instruct their children, by word of mouth, before any of the Scriptures were written; and Moses might derive much information from the same source, as a very few persons formed the chain of tradition, when they lived so many hundred years. Adam would converse with Mathusalem, who knew Sem, as the latter lived in the days of Abram. Isaac, Joseph, and Amram, the father of Moses, were contemporaries: so that seven persons might keep up the memory of things which had happened 2500 years before. But to entitle these accounts to absolute authority, the inspiration of God intervenes; and thus we are convinced, that no word of sacred writers can be questioned. (Haydock)

This is very much taking Genesis as literal history, since it is asking how the historic information is to be traced. And it is typical of the preceding 1800 years of the Church too.

@hglundahl I just saw you spam the comments section with either misinformed or deliberately misleading rubbish. Sorry I engaged, it won't happen again.

@elladan426 commenting with truth against the untruth spread by the video is not spamming.

You, @elladan426, are the misinformed person spreading rubbish.


Genesis 1:3 There was evening and morning one day. Whatever length of time a day was, it had an evening and a morning. An evening and morning indicate a 24 hour day.

Without the sun?

St Augustine would disagree with that...

The Sun and the Moon we set up to perpetuate the evening and morning of those days. God can have evening and morning without the Sun and Moon

St. Augustine in "City of God" interprets God creating light on the first day as God creating the angels. He points out that God only creates light, but then separates light from darkness. This is, according to St. Augustine the creation of angels and the fall of some of them.

We are still in the 7th day of creation - the day in which God has "rested" from creation. This is a period of thousands of years. There is no strict interpretation as to what length each day consisted of.

I'm open to different interpretations - that God could created everything in 7 minutes, seven 24 hour periods, or 7 millennia or vast epochs. Any of these interpretations are consistent with what the Church has taught us, and each of these can show the majesty and omnipotence of God. As one priest I heard of put it - " God loved the world so much that He took his time creating it."

And to be clear, this doesn't mean that I believe in evolution. I do not and never have.

@fr.timothygeckle1119 Well said, Father!

And what IS time? Isn't it relative to the observer's perspective? According to theories of relativity, we postulate planets on which 10 minutes equals many years elsewhere in the universe.

@andreaengland9694 Time is not relative. You can have a kind of doppler effect with light but time itself doesn’t change.

yeah ... @kevingillikin5264 ... without the sun.

Time spans of 24 hours are measured by, but do not come into existence from the Sun's daily movement around Earth.

Note very much, I am not flat earth, I am Geocentric, a position never condemned by the Church (unless you count Wojtyla in the 1990's as Magisterium).

The old agers have a very similar problem.

"13 point 8 billion years ago" ... "years" before Earth (according to them) orbitted the Sun, or before either of them existed?

THEY obviously mean that the time span is identic in length of time, even before the astronomic clock was there, but somehow Moses can't mean that?

@fr.timothygeckle1119 "There is no strict interpretation as to what length each day consisted of."

Or how long the papacy can be vacant?

Like "perpetuos successores" doesn't preclude a 40 year vacancy according to interpreters AT the council, and now some Sedes (who are not accepting Pope Michael II and were not accepting his predecessor Pope Michael I) are saying there is NO limit to how long it can be ... not even 70 years, which none of the commenters mentioned.

"In the day of" dictions certainly do not extend to periods of 1000 of years. Not in English and not in Hebrew.

You can speak of a certain reign during the middle ages as "in the days of king so and so" (I took John Lackland as an example). But you cannot speak of the Middle Ages as "in the days of" any given person. If you want to speak of it in terms of "in the days of the Inquisition" or "the days of the Crusades" that's still shorter than the Middle Ages, the usage is not very good, and I don't think you find any Bible passage using "day" in the Bible for that long a period.


Frankly I am astonished this author got an imprimatur - i will need to check this before i consider it serious. He sounds like a modernist who favours untested scientific hypothesis that undermine the plain reading the Sacred Scripture. Does imprimatur mean infallible? Anyone, please help ...

Fallacious reasoning at 1:54 time mark: "geology, paleontology, astronomy maintain ... cannot in one natural week". Creation wasn't a natural event! Much of scientific speculation is wrong and purposefully seeks anti-Christian explanations. But this author seems to go along with it ...

"There is something fascinating about science. One gets such wholesale returns of conjecture out of such a trifling investment of fact."
― Mark Twain

Imprimatur = "let it be printed". It is the express permission of the Church to print a book, and ensures no errors or heresies that will directly lead the Faithful astray. Is not 1-to-1 with Infallible.

That said, we lay people should never be astonished at what the true Church hierarchy has given an imprimatur...that is a very quick way to Pride and a "we know better" mentality. Modern Gallicanism.

@elladan426 Previous councils have said things refuting macroevolution. I suppose we're supposed to ignore these councils now.

@elladan426 Also many people haven't spent enough time in the Novus Ordo churches. Macroevolution ends up breaking people's faith because they can't reconcile it with the tenants of original sin. It's taught as a default there. I know exactly where the slippery slope goes because again, I know the Novus Ordo inside out from experience.

No, it doesn't mean infallible.

@elladan426 "and ensures no errors or heresies that will directly lead the Faithful astray."

The piece is interrupted by quantum chemistry results.
=====
# 1
Density functional theory data (ωB97M-V/def2-TZVPD) for the molecule C23H31N5O2 at a distorted geometry.

Atoms and positions in Å:
C (-3.759, -0.773, 2.042)
C (-4.145, 0.573, 1.439)
C (-2.956, 1.307, 0.814)
C (-3.264, 2.801, 0.607)
C (-2.009, 3.533, 0.135)
C (-1.455, 2.859, -1.117)
C (-1.248, 1.365, -0.842)
N (-2.461, 0.686, -0.415)
C (-3.425, 0.480, -1.488)
C (-3.796, -1.001, -1.655)
C (-2.570, -1.884, -1.883)
N (-1.769, -2.002, -0.685)
C (-1.462, -3.193, -0.150)
O (-1.783, -4.263, -0.620)
C (-0.619, -3.093, 1.136)
N (0.651, -2.443, 0.888)
N (1.599, -3.242, 0.405)
C (2.769, -2.776, 0.112)
C (3.081, -1.411, 0.300)
C (2.078, -0.593, 0.824)
N (2.539, 0.683, 0.949)
C (3.839, 0.722, 0.518)
C (4.729, 1.787, 0.455)
C (5.993, 1.536, -0.029)
C (6.395, 0.259, -0.452)
C (7.790, 0.068, -0.968)
C (5.509, -0.797, -0.388)
C (4.223, -0.575, 0.098)
C (0.771, -1.090, 1.151)
O (-0.159, -0.432, 1.610)
H (-4.602, -1.202, 2.579)
H (-3.450, -1.472, 1.272)
H (-2.933, -0.645, 2.737)
H (-4.539, 1.210, 2.235)
H (-4.944, 0.439, 0.709)
H (-2.121, 1.230, 1.522)
H (-4.059, 2.918, -0.133)
H (-3.615, 3.236, 1.544)
H (-2.235, 4.583, -0.066)
H (-1.257, 3.496, 0.927)
H (-2.159, 2.988, -1.943)
H (-0.507, 3.315, -1.410)
H (-0.858, 0.864, -1.732)
H (-0.516, 1.249, -0.038)
H (-2.995, 0.824, -2.433)
H (-4.345, 1.054, -1.327)
H (-4.332, -1.360, -0.778)
H (-4.460, -1.093, -2.517)
H (-2.871, -2.896, -2.167)
H (-1.956, -1.464, -2.689)
H (-1.622, -1.125, -0.189)
H (-0.426, -4.106, 1.490)
H (-1.154, -2.507, 1.887)
H (3.478, -3.491, -0.273)
H (2.005, 1.450, 1.320)
H (4.438, 2.776, 0.776)
H (6.707, 2.345, -0.089)
H (7.960, 0.696, -1.842)
H (7.963, -0.968, -1.247)
H (8.518, 0.351, -0.209)
H (5.803, -1.786, -0.709)

Force components x, y, z for each atom (eV/Å):
C -0.175 0.145 -0.051
C 0.382 -0.093 0.031
C -0.497 0.301 0.226
C 0.317 -0.134 0.103
C -0.208 0.033 -0.238
C 0.076 -0.154 0.195
C 0.177 0.308 -0.252
N 0.153 0.024 0.133
C -0.349 -0.354 -0.036
C 0.263 0.227 -0.113
C -0.221 -0.118 -0.122
N 0.024 0.286 -0.150
C 0.372 0.138 0.401
O -0.103 -0.431 -0.025
C -0.490 -0.325 -0.006
N 0.130 0.640 0.223
N 0.392 -0.869 -0.370
C -0.219 0.082 0.090
C -0.754 0.594 0.389
C 0.513 -0.582 -0.324
N -0.452 0.085 0.182
C 0.432 -0.414 -0.247
C 0.082 0.125 0.002
C -0.217 0.030 0.080
C 0.012 -0.261 -0.062
C 0.008 0.043 0.003
C 0.086 0.240 0.025
C -0.144 0.390 0.137
C 0.105 -0.130 0.026
O -0.104 0.271 0.061
H -0.034 -0.110 0.049
H 0.065 -0.128 -0.044
H 0.117 -0.042 0.097
H -0.054 0.044 -0.070
H -0.103 0.090 -0.044
H -0.038 0.042 0.008
H -0.101 0.013 -0.010
H -0.090 -0.014 0.020
H 0.069 0.014 0.066
H 0.052 0.045 0.060
H 0.000 0.033 -0.084
H 0.011 0.008 -0.084
H 0.048 -0.037 0.040
H 0.048 -0.023 -0.059
H -0.022 0.066 0.033
H 0.070 0.085 -0.061
H -0.093 -0.040 0.038
H -0.074 -0.025 -0.014
H 0.086 0.164 -0.026
H -0.068 -0.064 -0.054
H 0.012 -0.168 0.139
H -0.013 0.181 -0.066
H 0.064 -0.100 -0.065
H 0.061 -0.110 -0.045
H -0.006 -0.068 -0.011
H -0.003 0.113 0.025
H 0.061 0.104 0.002
H 0.082 -0.002 -0.067
=====

Is supposed to ensure it.

Whether it actually does depends on the vigilance of the bishop.

In Paris, in preconciliar times, Teilhard de Chardin SJ had the oppportunity to say, with imprimatur, very bad stuff ... (Dictionnaire de théologie catholique)

Would you mind telling me what bishop gave Rev. Rudolph Bandas imprimatur? What was the conduct of that bishop, or if he died his successor, at Vatican II and beyond?

@hglundahl Wait... you're equating this book Kevin is reading with works from Teilhard de Chardin?? I'm afraid I'm not buying that straw man of an argument. 😉

There is an equation @elladan426.


Preconciliar imprimatur.

And before you answer, Teilhard de Chardin must have been OK in that article, in a work that got one, unlike the works he published without one, no, he wasn't.

[Or got posthumously published without one - not claiming he was disobedient, whatever much his heresies may have made him a non-Jesuit, he still held to Jesuit obedience to the pope.]


The Bible may not be a “science textbook” but the account of Genesis (according to the Catechism of Trent) is sacred history.

Genesis 1 simply gives a historical account of what God did. There is no reason to take it otherwise; except if one believes the science is correct on the age of the earth. Just my thoughts

The Church has taught on this matter. The Bible Commission decided on the 30th of July, 1909:

"a) The first three Chapters of Genesis contain narratives of real events (rerum vere gestarum narrationes quae scilicet obiectivae realitati et historicae venuti respondeant). no myths, no mere allegories or symbols of religious truths, no legends. D 2122.

b) In regard to those facts, which touch the foundations of the Christian religion (quae christianae religionis fundamenta attingWlt), the literal historical sense is to be adhered to. Such facts are, inter alia, the creation of all things by God in the beginning of time, and the special creation of humanity. D 2123.

c) It is not necessary to understand all individual words and sentences in the literal sense (sensu proprio). Passages which are variously interpreted by the Fathers and by theologians, may be interpreted according to one's own judgment with the reservation, however, that one submits one's judgment to the decision of the Church, and to the dictates of the Faith. D 2124 et seq.

d) As the Sacred Writer had not the intention of representing with scientific accuracy the intrinsic constitution of things, and the sequence of the works of creation but of communicating knowledge in a popular way suitable to the idiom and to the pre-scientific development of his time, the account is not to be regarded or measured as if it were couched in language which is strictly scientific (proprietas scientifici sermonis). D 2127.

e) The word "day" need not be taken in the literal sense of a natural day of 24 hours, but can also be understood in the improper sense of a longer space of time. D 2128. Cf. the whole letter of the Secretary of the Bible Commission to Cardinal Suhard, dated 16th January, 1948 (D 3002,)." (Edit: Source is Dr. Ludwig Ott - Fundamentals of Catholic Dogma)

In other words: Both explanations in a more liberal sense and a more literal sense are possible.

A caveat @skabedab .

The ONLY thing where a more liberal sense is possible is the length of creation days.

No similar ruling, at least not for St. Pius X, for genealogies of Genesis 5 and 11.


I've long held that giving a layman a Bible and asking him to interpret books like Genesis or the Apocalypse is akin to giving a two year a gallon of gasoline and a book of matches.

Trying to use prevailing scientific theories (not facts but theories) first and then apply the Bible later is appeasing the atheists. This idea was condemned in Pius X's syllabus of modern errors. The idea we descended from apes is theory not fact.

With Genesis, you could not be further from the truth.

The Historia scholastica was translated to French and to Flemish rhyming couplets in the Middle Ages, so that this Biblical history would be accessible to laymen.

- - -
Here is a structure of composition C17H35GeMoN3S2Si3 from the OMol25 dataset. Energies are from ωB97M-V/def2-TZVPD.

Each line ends with the Löwdin spin population.
Geometry (Å):
Mo: -0.98 0.57 -1.04  1.18
Ge: 0.49 -0.05 0.59  -0.20
S: -1.60 -1.63 -1.51  0.01
S: -0.05 -3.78 -2.74  0.00
Si: 2.83 -0.21 1.52  -0.03
Si: -0.80 2.09 1.20  -0.02
Si: -2.09 -3.49 2.18  0.00
N: -0.83 2.42 -2.29  0.01
N: 0.68 -1.24 -2.95  0.00
N: 0.31 0.05 -2.65  0.00
C: 0.18 2.33 -3.21  0.00
C: -0.24 4.56 -3.96  0.00
C: -0.69 -4.41 1.47  0.00
C: 3.51 -1.59 0.49  0.00
C: 3.44 1.48 1.08  -0.01
C: -2.58 1.66 0.63  0.03
C: 2.64 -0.54 3.33  0.00
C: 1.36 -3.92 -3.85  0.00
C: 0.51 3.38 -4.04  0.00
C: -1.93 -2.71 3.83  0.00
C: -1.30 4.62 -3.09  0.00
C: -0.17 3.76 0.69  0.00
C: -0.76 1.85 3.05  -0.01
C: -3.66 -3.36 1.27  0.00
C: -1.56 3.53 -2.26  0.01
C: 0.76 1.01 -3.38  0.02
C: -0.16 -2.09 -2.48  0.02
H: 3.14 -2.56 0.81  0.00
H: -1.98 -3.52 4.57  0.00
H: -1.03 -5.41 1.18  0.00
H: 1.65 -4.97 -3.84  0.00
H: 1.48 0.80 -4.17  0.00
H: -1.94 5.50 -3.02  0.00
H: -2.74 -2.01 4.05  0.00
H: 4.60 -1.60 0.61  0.00
H: 3.14 2.23 1.82  0.00
H: -0.98 4.47 0.52  0.00
H: 4.53 1.46 1.06  0.00
H: -3.77 -2.34 0.89  0.00
H: 2.27 -1.54 3.53  0.00
H: -3.72 -4.05 0.44  0.00
H: 3.11 1.81 0.09  0.00
H: -1.10 0.87 3.39  0.00
H: 0.16 -4.50 2.14  0.00
H: 0.44 4.17 1.50  0.00
H: 0.46 3.73 -0.20  0.00
H: 2.19 -3.31 -3.49  0.00
H: -2.37 3.56 -1.55  0.00
H: 1.99 0.19 3.82  0.00
H: 0.00 5.40 -4.61  0.00
H: 1.31 3.28 -4.75  0.00
H: -3.11 1.14 1.43  0.01
H: 3.62 -0.46 3.81  0.00
H: 3.30 -1.46 -0.57  0.00
H: 1.07 -3.63 -4.86  0.00
H: -0.38 -3.92 0.53  0.00
H: -2.82 0.95 -0.22  0.01
H: -0.96 -2.24 3.96  0.00
H: -4.50 -3.52 1.95  0.00
H: -3.15 2.55 0.37  0.00
H: 0.23 2.04 3.46  0.00
H: -1.43 2.60 3.46  0.00

Multiplicity   2
LUMO energy (alpha / beta)   -10.2 / -9.9 eV
Total charge   +3
Orbital gap (alpha / beta)   6.44 / 6.48 eV


Here is a cluster of 2 separate species, C5H14S in total in a non-equilibrium geometry from the OMol25 dataset. Energies are from ωB97M-V/def2-TZVPD.

Each line ends with the Mulliken charge.
Geometry (Å):
S: -1.70 1.12 -0.36  -0.01
C: 2.02 -0.42 0.40  0.32
C: 2.49 0.58 -0.67  -1.07
C: 1.76 -1.76 -0.35  -1.21
C: -3.24 0.26 -0.72  -0.87
C: -1.76 1.03 1.46  -0.90
H: -0.90 1.61 1.77  0.28
H: 2.70 -2.27 -0.58  0.34
H: -1.69 -0.01 1.78  0.27
H: 3.07 0.26 -1.53  0.32
H: -3.30 0.26 -1.81  0.31
H: 2.87 1.60 -0.46  0.34
H: 1.03 -0.13 0.73  -0.21
H: 1.14 -2.44 0.23  0.35
H: 2.75 -0.62 1.18  0.32
H: 1.52 0.97 -1.01  0.20
H: -4.10 0.85 -0.39  0.30
H: 1.24 -1.51 -1.27  0.30
H: -3.22 -0.75 -0.32  0.26
H: -2.69 1.35 1.92  0.37

Multiplicity   1
Relative energy (zero: lowest compared OMol25 entry of this formula, charge and spin)   17.2 kcal per mole
Structure (SMILES)   CCC.CSC
LUMO energy   1.0 eV
Orbital gap   9.56 eV


Here is the ion CH2FN2O2 with charge -1 in a non-equilibrium geometry from the OMol25 dataset. Energies are from ωB97M-V/def2-TZVPD.

Each line ends with the Mulliken charge.
- - -

Before 1500 print in France will include an edition of the "Bible historiée" ...

If you think that Young Earth Creationism is heresy, or Protestantism, you are calling Popes like St. Pius V or St. Pius X heretics.

Sure, St. Pius X allowed the verdict of 1909, but it was a permission, very far from a complete recommendation. His catechism is solidly YEC. So are the other preconciliar / early post-conciliar catechisms I read.

= the long debate with Skabedab, which also answers a point in V above by skabedab quoting a decision from 1911 on the genealogies of Matthew and Luke.